Could you quote everything further below word for word?

********
# 1
DFT (ωB97M-V/def2-TZVPD) results for C23H43Cl3InN3O4Si as an isolated structure.

Results
HOMO-LUMO gap in eV: 6.67
LUMO in Ha: 0.0075
Total energy in eV: -87831.428
ΔE to the lowest compared entry with this formula, charge and spin in kcal/mol: 39.2
Spin multiplicity: 1

Last column: Mulliken charge in e.
Element x y z (Å)
C (-1.6697, -2.1882, -3.4768)  -1.57
C (-1.1282, -2.8987, -2.2829)  0.31
H (-1.8911, -2.9073, -4.2716)  0.45
H (-0.9432, -1.4574, -3.8601)  0.10
H (-2.5844, -1.6414, -3.2137)  0.29
C (-0.5636, -4.1133, -2.3197)  0.42
C (-0.3560, -4.9023, -3.5734)  -1.75
H (-0.2093, -4.5813, -1.3940)  0.34
H (0.2046, -4.3322, -4.3287)  0.31
H (-1.3061, -5.2064, -4.0353)  0.37
H (0.2206, -5.8055, -3.3405)  0.38
In (0.1716, 1.3191, 0.3601)  0.95
Cl (-2.2352, 1.0392, 0.3681)  -0.47
Cl (1.5210, 3.2744, -0.1903)  -0.46
H (1.3200, 5.0171, 3.8145)  0.32
H (-1.2096, 6.3096, 3.4408)  0.33
C (1.2007, 4.8928, 2.7299)  -0.94
C (-1.0121, 5.9954, 2.4063)  -0.93
N (-0.2134, 4.7845, 2.3724)  0.42
H (1.7448, 4.0126, 2.3803)  0.25
C (-0.8122, 3.6139, 2.1734)  0.04
O (-0.2007, 2.5138, 2.2797)  -0.66
H (-1.9632, 5.7826, 1.9084)  0.30
H (-1.8767, 3.6414, 1.8797)  0.42
H (1.6055, 5.7855, 2.2440)  0.33
H (-0.4851, 6.8060, 1.8934)  0.32
H (1.8569, -1.2823, -2.9333)  0.11
H (2.3323, -3.6130, -1.3185)  0.20
C (2.8096, -1.0091, -2.4522)  -0.87
C (3.1920, -2.9883, -1.0220)  -0.77
N (2.8733, -1.5748, -1.1097)  0.33
H (2.9000, 0.0803, -2.4090)  0.20
C (2.4834, -0.8625, -0.0423)  -0.04
O (2.1555, 0.3420, -0.1402)  -0.67
H (3.4803, -3.2326, 0.0081)  0.32
H (2.4982, -1.3992, 0.9182)  0.59
H (3.6419, -1.4435, -3.0181)  0.42
H (4.0259, -3.1955, -1.7048)  0.35
O (-0.0221, -1.2486, -1.1455)  -0.10
C (-1.0540, -2.0636, -0.9940)  -0.25
C (0.2400, -3.2481, 0.8612)  1.31
C (-0.9845, -2.9157, 0.2875)  -0.29
H (1.1480, -2.8018, 0.4492)  -0.24
C (0.3027, -4.1829, 1.9016)  -1.02
H (-1.9884, -1.4815, -0.9188)  0.36
C (-2.1669, -3.4207, 0.8196)  -0.47
H (1.2803, -4.4666, 2.3072)  0.39
C (-0.8858, -4.7391, 2.3943)  -0.58
C (-2.1209, -4.3474, 1.8594)  -0.75
H (-3.1062, -3.0973, 0.3659)  0.43
H (-0.8416, -5.4648, 3.2117)  0.36
H (-3.0467, -4.7726, 2.2524)  0.39
Si (-0.3469, 3.0820, -3.0280)  0.21
Cl (-0.1845, 1.0678, -2.2106)  0.26
C (1.3989, 3.6131, -3.4456)  -0.97
C (-1.2511, 4.0449, -1.7098)  -0.74
C (-1.4207, 2.9390, -4.5574)  -1.07
H (2.1317, 2.8431, -3.1724)  0.24
H (1.6714, 4.5373, -2.9211)  0.32
H (1.4792, 3.8039, -4.5244)  0.36
H (-0.9047, 2.3843, -5.3555)  0.27
H (-1.6676, 3.9323, -4.9570)  0.32
H (-2.3650, 2.4252, -4.3287)  0.28
H (-1.7076, 3.3694, -0.9712)  0.09
H (-2.0486, 4.6324, -2.1861)  0.50
H (-0.5707, 4.7280, -1.1848)  0.24
C (0.5879, 0.7716, 4.6469)  -0.78
N (-0.2177, -0.3590, 4.1862)  0.29
C (-0.9360, -1.1450, 5.1803)  -0.84
C (-0.3195, -0.6298, 2.8902)  -0.13
O (0.4618, -0.1365, 2.0318)  -0.61
H (0.7691, 0.6118, 5.7111)  0.41
H (0.0514, 1.7189, 4.4972)  0.17
H (1.5293, 0.8040, 4.0859)  0.24
H (-2.0258, -1.0204, 5.0844)  0.33
H (-0.6974, -2.2137, 5.0600)  0.31
H (-0.6135, -0.8012, 6.1684)  0.27
H (-1.1355, -1.3280, 2.6185)  0.44

***

# 2
DFT (ωB97M-V/def2-TZVPD) results for a 2-piece molecular cluster, C4H10O overall.

Results
HOMO-LUMO gap in eV: 10.40
SMILES: C/C=C/C.O
LUMO in Ha: 0.0360
Total energy in eV: -6356.919
ΔE to the lowest compared entry with this formula, charge and spin in kcal/mol: 20.4
Spin multiplicity: 1

Last column: natural (NBO) charge in e.
Element x y z (Å)
C (-2.3411, -0.3032, 0.5319)  -0.64
C (-1.1121, -0.4822, -0.2534)  -0.19
C (-0.3215, 0.5299, -0.5449)  -0.19
C (1.0227, 0.4150, -1.3123)  -0.65
H (-2.2175, -0.7551, 1.5304)  0.22
H (-3.1485, -0.8361, 0.0020)  0.21
H (-2.6389, 0.7514, 0.6574)  0.22
H (-0.7719, -1.4859, -0.5404)  0.20
H (-0.5787, 1.5790, -0.3479)  0.19
H (0.9304, 0.8164, -2.3355)  0.22
H (1.3106, -0.6479, -1.3761)  0.20
H (1.8227, 0.9654, -0.7893)  0.21
O (2.6314, 0.0589, 1.9094)  -0.94
H (2.0947, 0.0297, 1.0853)  0.47
H (3.3175, -0.6352, 1.7833)  0.47

***

# 3
********

# 1
DFT (ωB97M-V/def2-TZVPD) results for C23H43Cl3InN3O4Si as an isolated structure.

Results
HOMO-LUMO gap in eV: 6.67
LUMO in Ha: 0.0075
Total energy in eV: -87831.428
ΔE to the lowest compared entry with this formula, charge and spin in kcal/mol: 39.2
Spin multiplicity: 1

Last column: Mulliken charge in e.
Element x y z (Å)
C (-1.6697, -2.1882, -3.4768)  -1.57
C (-1.1282, -2.8987, -2.2829)  0.31
H (-1.8911, -2.9073, -4.2716)  0.45
H (-0.9432, -1.4574, -3.8601)  0.10
H (-2.5844, -1.6414, -3.2137)  0.29
C (-0.5636, -4.1133, -2.3197)  0.42
C (-0.3560, -4.9023, -3.5734)  -1.75
H (-0.2093, -4.5813, -1.3940)  0.34
H (0.2046, -4.3322, -4.3287)  0.31
H (-1.3061, -5.2064, -4.0353)  0.37
H (0.2206, -5.8055, -3.3405)  0.38
In (0.1716, 1.3191, 0.3601)  0.95
Cl (-2.2352, 1.0392, 0.3681)  -0.47
Cl (1.5210, 3.2744, -0.1903)  -0.46
H (1.3200, 5.0171, 3.8145)  0.32
H (-1.2096, 6.3096, 3.4408)  0.33
C (1.2007, 4.8928, 2.7299)  -0.94
C (-1.0121, 5.9954, 2.4063)  -0.93
N (-0.2134, 4.7845, 2.3724)  0.42
H (1.7448, 4.0126, 2.3803)  0.25
C (-0.8122, 3.6139, 2.1734)  0.04
O (-0.2007, 2.5138, 2.2797)  -0.66
H (-1.9632, 5.7826, 1.9084)  0.30
H (-1.8767, 3.6414, 1.8797)  0.42
H (1.6055, 5.7855, 2.2440)  0.33
H (-0.4851, 6.8060, 1.8934)  0.32
H (1.8569, -1.2823, -2.9333)  0.11
H (2.3323, -3.6130, -1.3185)  0.20
C (2.8096, -1.0091, -2.4522)  -0.87
C (3.1920, -2.9883, -1.0220)  -0.77
N (2.8733, -1.5748, -1.1097)  0.33
H (2.9000, 0.0803, -2.4090)  0.20
C (2.4834, -0.8625, -0.0423)  -0.04
O (2.1555, 0.3420, -0.1402)  -0.67
H (3.4803, -3.2326, 0.0081)  0.32
H (2.4982, -1.3992, 0.9182)  0.59
H (3.6419, -1.4435, -3.0181)  0.42
H (4.0259, -3.1955, -1.7048)  0.35
O (-0.0221, -1.2486, -1.1455)  -0.10
C (-1.0540, -2.0636, -0.9940)  -0.25
C (0.2400, -3.2481, 0.8612)  1.31
C (-0.9845, -2.9157, 0.2875)  -0.29
H (1.1480, -2.8018, 0.4492)  -0.24
C (0.3027, -4.1829, 1.9016)  -1.02
H (-1.9884, -1.4815, -0.9188)  0.36
C (-2.1669, -3.4207, 0.8196)  -0.47
H (1.2803, -4.4666, 2.3072)  0.39
C (-0.8858, -4.7391, 2.3943)  -0.58
C (-2.1209, -4.3474, 1.8594)  -0.75
H (-3.1062, -3.0973, 0.3659)  0.43
H (-0.8416, -5.4648, 3.2117)  0.36
H (-3.0467, -4.7726, 2.2524)  0.39
Si (-0.3469, 3.0820, -3.0280)  0.21
Cl (-0.1845, 1.0678, -2.2106)  0.26
C (1.3989, 3.6131, -3.4456)  -0.97
C (-1.2511, 4.0449, -1.7098)  -0.74
C (-1.4207, 2.9390, -4.5574)  -1.07
H (2.1317, 2.8431, -3.1724)  0.24
H (1.6714, 4.5373, -2.9211)  0.32
H (1.4792, 3.8039, -4.5244)  0.36
H (-0.9047, 2.3843, -5.3555)  0.27
H (-1.6676, 3.9323, -4.9570)  0.32
H (-2.3650, 2.4252, -4.3287)  0.28
H (-1.7076, 3.3694, -0.9712)  0.09
H (-2.0486, 4.6324, -2.1861)  0.50
H (-0.5707, 4.7280, -1.1848)  0.24
C (0.5879, 0.7716, 4.6469)  -0.78
N (-0.2177, -0.3590, 4.1862)  0.29
C (-0.9360, -1.1450, 5.1803)  -0.84
C (-0.3195, -0.6298, 2.8902)  -0.13
O (0.4618, -0.1365, 2.0318)  -0.61
H (0.7691, 0.6118, 5.7111)  0.41
H (0.0514, 1.7189, 4.4972)  0.17
H (1.5293, 0.8040, 4.0859)  0.24
H (-2.0258, -1.0204, 5.0844)  0.33
H (-0.6974, -2.2137, 5.0600)  0.31
H (-0.6135, -0.8012, 6.1684)  0.27
H (-1.1355, -1.3280, 2.6185)  0.44

***

# 2
DFT (ωB97M-V/def2-TZVPD) results for a 2-piece molecular cluster, C4H10O overall.

Results
HOMO-LUMO gap in eV: 10.40
SMILES: C/C=C/C.O
LUMO in Ha: 0.0360
Total energy in eV: -6356.919
ΔE to the lowest compared entry with this formula, charge and spin in kcal/mol: 20.4
Spin multiplicity: 1

Last column: natural (NBO) charge in e.
Element x y z (Å)
C (-2.3411, -0.3032, 0.5319)  -0.64
C (-1.1121, -0.4822, -0.2534)  -0.19
C (-0.3215, 0.5299, -0.5449)  -0.19
C (1.0227, 0.4150, -1.3123)  -0.65
H (-2.2175, -0.7551, 1.5304)  0.22
H (-3.1485, -0.8361, 0.0020)  0.21
H (-2.6389, 0.7514, 0.6574)  0.22
H (-0.7719, -1.4859, -0.5404)  0.20
H (-0.5787, 1.5790, -0.3479)  0.19
H (0.9304, 0.8164, -2.3355)  0.22
H (1.3106, -0.6479, -1.3761)  0.20
H (1.8227, 0.9654, -0.7893)  0.21
O (2.6314, 0.0589, 1.9094)  -0.94
H (2.0947, 0.0297, 1.0853)  0.47
H (3.3175, -0.6352, 1.7833)  0.47

***

# 3